Brief:
It remains to search the block below for the word "Ha" and echo each line that has it.

Input:
-- begin --
No. 1
Here is C20H30BeCl6F6N7O4S2 as an isolated structure at a distorted geometry from OMol25. Energies are from the ωB97M-V functional and the def2-TZVPD basis.

XYZ file:
```
76
Properties=species:S:1:pos:R:3:forces:R:3
H 2.778 6.210 1.447 -0.384 0.199 0.136
C 3.895 2.694 -3.523 -0.797 1.335 0.276
H 0.419 -6.634 3.012 -0.289 -0.576 -0.275
H 5.085 0.675 -0.107 -0.097 0.489 -0.237
O -0.209 -2.513 -1.805 -0.586 0.431 -0.281
C -0.346 -1.965 0.863 0.661 0.412 1.919
C -3.481 5.322 -1.400 -1.255 -0.362 0.318
H 4.442 4.076 -2.167 0.108 0.842 -0.137
C 3.670 4.030 -2.935 0.315 -1.332 0.103
H 2.175 -4.747 -2.656 -0.081 -0.092 0.015
H -3.199 6.312 -1.040 -0.274 0.101 -0.329
H 3.624 -0.018 0.480 -0.366 0.164 -0.174
H 3.591 0.802 -1.147 0.155 -0.154 0.093
H 0.937 6.286 1.222 0.375 0.438 0.299
C -0.495 -6.047 3.096 0.723 -0.159 0.651
C -2.251 0.770 3.395 -2.871 0.588 -1.074
N 4.001 1.658 -3.986 0.192 -1.100 -0.335
Be -3.578 -0.957 -2.227 2.890 0.927 1.463
H -0.931 0.407 5.012 0.154 0.231 -0.203
F 0.753 -1.640 1.602 -1.243 -0.726 -1.581
C -4.267 4.602 -0.261 1.294 0.184 -0.102
C 1.301 -5.891 -1.122 0.052 -0.444 0.843
F -0.595 -3.289 0.978 0.467 1.698 -0.874
N -1.525 -0.358 -1.248 -0.420 -3.475 -1.357
Cl 3.133 3.331 1.036 -0.477 0.384 -0.013
C -0.174 -5.181 4.244 0.152 2.412 2.356
N -3.266 1.155 2.943 2.784 -1.002 1.079
H -0.923 -0.847 3.779 -0.483 0.017 0.174
H -2.578 4.830 -1.759 -0.171 -0.344 0.417
H -3.478 4.287 0.422 -0.160 0.419 0.692
H -2.448 -3.424 3.257 0.227 0.586 0.155
H 0.857 3.968 0.683 0.187 -0.100 0.026
H 1.410 4.382 2.321 0.110 -0.570 0.078
F 0.263 3.112 -1.811 -0.675 -1.497 0.294
H -4.126 -1.629 2.354 0.284 0.227 0.299
F -1.372 -1.304 1.433 0.152 -0.538 -0.905
S -1.142 1.010 -0.616 -0.026 7.350 2.770
C 1.681 4.379 1.266 -0.082 -0.601 0.583
F -1.409 2.444 -2.940 -1.307 -0.231 -0.321
C 1.379 -5.472 -2.486 -0.344 0.245 -0.960
H -0.193 0.618 3.338 0.192 0.452 0.419
O 1.193 -0.574 -0.987 -3.536 -1.950 -0.701
H -4.696 3.637 -0.529 -0.512 0.478 -0.384
H 3.704 4.777 -3.728 0.200 0.120 0.387
C 2.508 -1.424 -3.841 -0.214 -0.169 -0.618
Cl -4.565 5.395 -2.833 0.268 0.314 0.076
Cl -5.468 5.691 0.554 0.864 -0.876 -0.633
H -4.681 -3.205 1.961 0.192 -0.578 0.423
H -3.741 -4.028 4.246 -0.006 0.000 -0.006
H 1.829 -0.574 -3.907 0.268 0.158 0.057
C 1.916 -2.492 -4.662 -0.963 -1.850 -0.455
C -3.346 -3.118 3.794 -1.691 -0.274 -0.264
H 0.411 -5.032 -2.722 0.139 0.275 -0.186
N 0.060 -4.527 5.199 -0.719 -1.973 -3.059
Cl -6.005 -2.161 3.611 0.693 -0.353 -0.248
N 4.999 -2.106 -1.438 -0.894 1.986 0.926
H 3.485 -1.156 -4.243 -0.087 0.135 0.123
H 1.486 -6.316 -3.167 0.246 -0.022 0.142
O -2.326 1.772 -0.253 0.440 -1.214 -1.255
C 4.615 -1.096 -0.995 0.387 -1.470 -1.061
N 1.393 -3.376 -5.220 1.017 1.855 1.020
C -1.013 0.228 3.940 0.391 -0.196 -0.402
C -4.432 -2.570 2.811 0.080 0.635 0.355
N 1.165 -6.234 -0.035 -0.036 0.106 0.157
Cl 2.075 6.076 -0.779 0.090 0.272 -0.485
H 2.724 4.040 -2.395 -0.014 0.014 -0.294
C 1.885 5.815 0.963 0.083 0.036 -0.563
S -0.078 -1.334 -1.015 3.108 -1.239 1.339
H -0.629 -5.599 2.112 -0.040 0.453 0.379
H 2.609 -1.728 -2.799 0.031 -0.140 -0.197
O -0.118 1.008 0.430 -1.587 -0.605 -1.940
H -1.360 -6.651 3.371 0.179 -0.175 -0.158
Cl -3.086 -2.014 5.176 0.173 -0.321 -0.598
C -0.448 2.008 -2.185 2.384 0.276 0.514
F 0.366 1.226 -2.939 -0.810 0.446 0.846
C 4.163 0.200 -0.442 0.790 -0.982 0.462
```
Forces are in eV/Å.

For the lowest unoccupied orbital energy, the calculation gives -10.88 eV. Its maximum force is 7.9 eV/Å. As for the total charge: +1. The calculation puts the orbital gap at 0.076 Ha. Its HOMO energy is -12.957 eV. The spin multiplicity is 1. For the total energy, the calculation gives -5635.138738 hartree.



No. 2
Here is a 3-piece molecular cluster, C6H14N2O overall at a distorted geometry from OMol25. Energies are from the ωB97M-V functional and the def2-TZVPD basis.

XYZ file:
```
23
Properties=species:S:1:pos:R:3:forces:R:3
C 0.527 1.398 -1.415 0.621 -0.431 0.397
C 2.217 -0.388 -1.762 -0.351 -0.277 0.143
-- stop --

Outcome:
For the lowest unoccupied orbital energy, the calculation gives -10.88 eV. Its maximum force is 7.9 eV/Å. As for the total charge: +1. The calculation puts the orbital gap at 0.076 Ha. Its HOMO energy is -12.957 eV. The spin multiplicity is 1. For the total energy, the calculation gives -5635.138738 hartree.